or download a guide here



How to send files

After logging in for the first time, you’ll be brought to the safedrop compose page.

1. Add your files

You can do this by drag and drop or by clicking the orange + sign to open a file search box to add the files from your device this way.

2. Enter your safedrop subject and message

The message can be encrypted to only be shown when the recipient has been verified and the safedrop accessed. (more on encryption below).

Nb. You can leave these blank if you’re sending a document.

3. Enter your recipient’s email/s and hit the enter button or select ‘Don’t specify recipients’

You can send a safedrop to multiple recipients at once by seperating their email addresses with a comma and then hitting enter once you’re done, or by entering each address in one by one, hitting ‘Enter’ after each address.

4. Choose how the safedrop will be sent

‘Automatically send everyone an email’ will send the recipients an email directly from our service with the link to access the drop.  ‘I will send them the link myself’ will generate a link for you to copy and paste into an email or DM.

Sending the link yourself is the most guaranteed way to get a message through spam filters.

5**. Click ‘safedrop it’ button.**

Clicking the safedrop it button will send the drop according to your selected settings. The button will will turn orange and become clickable once some text has been added to the message box OR a file is uploaded to the safedrop.

If you selected ‘ I will send them the link myself’ or the ‘Don’t specify recipients’ option, after you click the safedrop it button, you will be directed to a summary page where you are given a quick rundown of the safedrop you just created and the safedrop link. You can then copy and paste the link in an email or on a message board or any other send it to the the recipient using any other method.

If you selected ‘Automatically send everyone an email’, after you click the safedrop it button, you will be directed to a summary page where you will see all the settings applied to your drop including the expiry date and number of downloads/views allowed.

The settings you choose will be remembered the next time you login.


Advanced sending options

Password  - The sender can set a password on the safedrop as an extra layer of security. We recommend sending the password to the recipient via a method other than email for security reasons (whatsapp, SMS, phone call for example)

Reference - This can be used as a tag or Internal reference for your audit trail.

Delete after – This option sets the expiry time of your safedrop. You can set this from 1 hour expiry up to never.

Allowed downloads – This selects the number of times your recipients can view/download your files before the safedrop expires. If this is set to 1 then the safedrop will be expired after the first download. This is a ‘self destruct’ safedrop.

View security – You can choose between ‘Full access’ and ‘View on screen’. ‘Full access‘ allows your recipients to download the files and ‘View on screen‘ only allowing them to view the files in our secure previewer.

Verify recipients – You can either select ‘Off’, ‘Enter Email Address’ or the ‘Magic Link’ option.

Choosing ‘Off‘ will not verify your recipients so that anyone who recieves the link will be able to access the safedrop.

Enter Email Address‘ – The safedrop recipient must first enter their email address before accessing the safedrop.

Magic Link‘ – When recipents go to view their safedrop, they will be sent a link by email. They will have to click the link or enter the code to access the safedrop.

Encrypt Message – Selecting this option will hide the safedrop message body from the recipient until they actually access the safedrop. The message will not be shown in clear text in any emails sent out from the system.  If the option remains unticked, the message will be shown in the emails sent from the system.

Allow replies  – This feature, available only when Magic link verification has been selected, allows the safedrop recipients to reply and attach files to the safedrop. Those files are then viewable and downloadable by both the original safedrop sender and all recipients.


How to track safedrops

To view a list of all your sent safedrops, click on the ‘Track Safedrops’ button along the top bar.

As you can see above, each of your safedrops will be shown here. You can see the date sent, the subject of the safedrop, the recipient email addresses and any reference that the drop had.

Clicking on one of the safedrops will open up it’s summary menu showing it’s expiry date, recipients, subject and message, security settings and attachments.


Clicking on ‘audit log’ will open up the safedrop audit showing all actions for that safedrop.

Clicking on ‘audit log’ will open up the safedrop audit showing all actions for that safedrop.

Clicking on ‘audit log’ will open up the safedrop audit showing all actions for that safedrop.


Clicking on ‘expire safedrop’ will expire the safedrop and prevent the recipient from accessing it any further.

You will then receive a summary safedrop email showing if your safedrop was downloaded or viewed and when.

In the track safedrops page, just above the table headings,  you can click from ‘live’ to ‘expired’ to view all expired drops. Drops will stay here until deleted or until your predetermined audit retention time runs out.


If your manager has enabled templates, you’ll see the this at the top of your screen

Just choose the template you want, and the subject, message and files will be pre-filled for you


Update a safedrop

You can change a safedrop after you’ve sent it!

Go to track safedrops, then click the folder icon.

Between two parts of the text: calculated crystals >
........
1.
This record from the Materials Project database describes a relaxed GaCoMo6O40 crystal. The functional is GGA+U.

Summary:
For the total energy, the calculation gives -269.8 eV/f.u. The volume is 17.38 A^3/atom. The value obtained for the formation energy is -0.365 eV per atom. The space group is No. 2.

a b c (Å): 6.9142 11.2112 11.3195
angles (deg): 98.30 95.83 103.92
Positions (direct):
O 0.3028 0.5138 0.1040
Mo 0.0978 0.3254 0.1105
Mo 0.5337 0.4294 0.6998
O 0.2875 0.6124 0.3803
Mo 0.8550 0.7602 0.1854
O 0.3978 0.0243 0.1111
O 0.4826 0.8845 0.9088
O 0.8513 0.0944 0.4519
Mo 0.9022 0.6746 0.8895
O 0.5854 0.6640 0.0093
O 0.5710 0.8074 0.5709
O 0.9787 0.1707 0.4015
O 0.4290 0.1926 0.4291
O 0.6811 0.5413 0.1349
Mo 0.4663 0.5706 0.3002
O 0.9047 0.3658 0.1786
O 0.9592 0.2805 0.4006
O 0.9893 0.6910 0.0595
O 0.8753 0.9100 0.1596
O 0.5925 0.7262 0.2458
Co 0.5000 0.5000 0.0000
O 0.4075 0.2738 0.7542
O 0.0841 0.1722 0.1244
O 0.3437 0.4419 0.5943
O 0.0953 0.6342 0.8214
O 0.7125 0.3876 0.6197
O 0.5043 0.0550 0.6510
O 0.4146 0.3360 0.9907
O 0.3471 0.3916 0.2330
O 0.6972 0.4862 0.8960
O 0.1487 0.9056 0.5481
O 0.3189 0.4587 0.8651
Mo 0.1450 0.2398 0.8146
O 0.6529 0.6084 0.7670
O 0.0408 0.7195 0.5994
O 0.4507 0.7616 0.6352
O 0.5174 0.1155 0.0912
Ga 0.5000 0.0000 0.5000
O 0.0107 0.3090 0.9405
O 0.4957 0.9450 0.3490
O 0.6022 0.9757 0.8889
O 0.6563 0.5581 0.4057
O 0.9159 0.8278 0.8756
O 0.5493 0.2384 0.3648
O 0.1247 0.0900 0.8404
O 0.9792 0.2281 0.6861
O 0.0213 0.8293 0.5985
O 0.0208 0.7719 0.3139



2.
This record from the Materials Project database describes a relaxed Ga2CoP3NO14 crystal. The functional is GGA+U.

Summary:
For the total energy, the calculation gives -130.0 eV/f.u. The volume is 14.11 A^3/atom. The value obtained for the formation energy is -1.629 eV per atom. The space group is No. 15.

a b c (Å): 8.4180 8.4180 9.1253
angles (deg): 74.75 74.75 76.57
Positions (direct):
O 0.0154 0.4683 0.3398
O 0.8623 0.0197 0.8875
O 0.7690 0.6693 0.4595
O 0.9693 0.1805 0.2963
O 0.7148 0.4717 0.3231
O 0.4683 0.0154 0.8398
Co 0.7225 0.2775 0.2500
O 0.7018 0.8724 0.6660
O 0.2035 0.6139 0.9620
O 0.6693 0.7690 0.9595
P 0.5783 0.8446 0.8256
O 0.5317 0.9846 0.1602
Ga 0.7468 0.8958 0.0702
Ga 0.2532 0.1042 0.9298
O 0.9846 0.5317 0.6602
O 0.8724 0.7018 0.1660
O 0.1805 0.9693 0.7963
N 0.6371 0.3629 0.7500
Ga 0.1042 0.2532 0.4298
O 0.1377 0.9803 0.1125
P 0.1554 0.4217 0.6744
O 0.8195 0.0307 0.2037
O 0.2852 0.5283 0.6769
O 0.4717 0.7148 0.8231
P 0.0082 0.9918 0.7500
N 0.3629 0.6371 0.2500
O 0.3307 0.2310 0.0405
O 0.7965 0.3861 0.0380
O 0.0307 0.8195 0.7037
O 0.6139 0.2035 0.4620
P 0.8446 0.5783 0.3256
P 0.4217 0.1554 0.1744
O 0.2982 0.1276 0.3340
O 0.2310 0.3307 0.5405
Ga 0.8958 0.7468 0.5702
O 0.1276 0.2982 0.8340
P 0.9918 0.0082 0.2500
O 0.9803 0.1377 0.6125
O 0.3861 0.7965 0.5380
O 0.0197 0.8623 0.3875
Co 0.2775 0.7225 0.7500
O 0.5283 0.2852 0.1769



3.
This record from the Materials Project database describes a relaxed Ga2CoO4 crystal. The functional is GGA+U.
........

Here you can delete files, or upload new files or folders


How to change your password

If you have forgotten your password then you can request a password reset from the login page by clicking the Forgotten username or password? button.

If you have logged in but would like to change your password, Click ‘my settings’ at the top right of the room. You will then be able to change your password.




Domain Verification (great for intra business comms)